On February 5, 2010, Greg was diagnosed with stage IV pancreatic and liver cancer in the prime of his life. He was told that time was limited.
However, on hearing his diagnosis, he said to his doctor, Dr. A. James Moser, “What can Cathy and I do to help you?” The doctors were amazed to hear this question from a terminally ill patient.

From there, a new trajectory for pancreatic cancer began. Instead of a medical tragedy, this event became the beginning of a very beautiful story.
God blessed Greg and his family with the gift of 19 miraculous months. Throughout this period, Greg made a tremendous difference in many people’s lives by being an example of how one can persist through intense hardship.
Greg Griffith’s legacy was his ability to lead and connect with people and communities. His legacy of love is a true manifestation of “I CAN” Sideline Cancer. It is the I CAN attitude and Believe Always Spirit he displayed that inspires students of every age to use their entrepreneurial spirit and philanthropic ideas to transform the outcome of pancreatic cancer.
The Origins of Sideline Cancer
The initial campaign slogan of the Griffith Family Foundation’s youth initiative was “Tackle Cancer.”
Through this initiative, hundreds of local students rallied to take part in a cause that was bigger than themselves.
In 2012, Cathy had the privilege of meeting the Intel Science and Engineer fair winner Jack Andraka.

Cathy shared Greg’s story and told Jack about the energy building through the Foundation’s youth initiative. Jack expressed great interest in the effort and even volunteered to participate himself. However, he suggested that our original “Tackle Cancer” slogan was too limited.
Cathy’s son, who is a teacher and basketball coach, and another devoted teacher and family friend, came up with the slogan “Sideline Cancer.” Shortly after that, a student pointed out the “I CAN” within the slogan, which is what led the Griffith Family Foundation to officially trademark SIDELINE CANCER®.

Jack Andraka went on to become the ambassador for Sideline Cancer and inspired many other students to believe that they can be a change in our world.
Today, Sideline Cancer is a fast-growing brand with over 17,000 t-shirts sold in it’s 11 year history.
Sideline Cancer and TBT
In 2014, as the Sideline Cancer message and t-shirts were quickly growing in popularity, an amazing opportunity presented itself. Lifelong friend and basketball coach Billy Clapper asked Cathy if he could put a Sideline Cancer basketball team together to participate in the inaugural The Basketball Tournament (“TBT”).
Because Greg was a lifelong fan of basketball, Cathy saw that getting involved with TBT would be a fitting way to honor Greg’s legacy and a great opportunity to raise awareness for pancreatic cancer.

== Crystal structures from another source follow ==
+++
# 1
# NaMnH3

An optimized crystal structure of NaMnH3 (PBE, Alexandria via LeMat-Bulk).

Cell lengths 14.480, 5.892, 5.892 Å; angles 149.43, 152.91, 27.09 degrees
Sites, in units of the cell vectors:
Mn 0.882 0.924 0.076
H 0.618 0.183 0.817
H 0.979 0.377 0.623
H 0.382 0.817 0.183
Mn 0.118 0.076 0.924
H 0.021 0.623 0.377
H 0.272 0.777 0.223
Na 0.348 0.054 0.946
Na 0.652 0.946 0.054
H 0.728 0.223 0.777

**Magnetic moment**: 1.0 μB/cell
**Symmetry**: C2/m, No. 12

=====

# 2
# NaMnH3

An optimized crystal structure of NaMnH3 (PBE, Alexandria via LeMat-Bulk).

Cell lengths 3.531, 5.215, 5.619 Å; angles 90.00, 108.37, 90.00 degrees
Sites, in units of the cell vectors:
H 0.525 0.750 0.548
Mn 0.985 0.250 0.472
Na 0.299 0.750 0.099
H 0.475 0.250 0.452
Mn 0.015 0.750 0.528
Na 0.701 0.250 0.901
H 0.111 0.480 0.722
H 0.889 0.520 0.278
H 0.111 0.020 0.722
H 0.889 0.980 0.278

**Magnetic moment**: 5.6 μB/cell
**Symmetry**: Cmcm, No. 63

=====

# 3
# NaMnH4

An optimized crystal structure of NaMnH4 (PBE, Alexandria via LeMat-Bulk).

Cell lengths 4.508, 5.758, 5.425 Å; angles 112.00, 102.49, 112.05 degrees
Sites, in units of the cell vectors:
H 0.596 0.051 0.269
H 0.956 0.834 0.117
H 0.404 0.949 0.731
Mn 0.738 0.988 0.977
H 0.827 0.782 0.731
H 0.173 0.218 0.269
Na 0.601 0.351 0.701
H 0.044 0.166 0.883
Na 0.399 0.649 0.299
Mn 0.262 0.012 0.023
H 0.661 0.284 0.117
H 0.339 0.716 0.883

**Magnetic moment**: 0.0 μB/cell
**Symmetry**: C2/c, No. 15

=====

# 4
# Na3MnH

An optimized crystal structure of Na3MnH (PBE, Alexandria via LeMat-Bulk).

Cell lengths 4.828, 4.828, 4.828 Å; angles 90.00, 90.00, 90.00 degrees
Sites, in units of the cell vectors:
Na 0.500 0.000 0.000
Mn 0.500 0.500 0.500
Na 0.000 0.500 0.000
Na 0.000 0.000 0.500
H 0.000 0.000 0.000

**Magnetic moment**: 3.9 μB/cell
**E above lowest polymorph**: 0 meV per atom
**Symmetry**: Pm-3m, No. 221

=====

# 5
# Na3Mn5H12

An optimized crystal structure of Na3Mn5H12 (PBE, Alexandria via LeMat-Bulk).

Cell lengths 9.816, 9.816, 9.816 Å; angles 109.47, 109.47, 109.47 degrees
Sites, in units of the cell vectors:
H 0.928 0.837 0.815
H 0.091 0.163 0.478
H 0.185 0.663 0.072
Na 0.875 0.125 0.250
H 0.113 0.428 0.091
Mn 0.000 0.000 0.500
Mn 0.250 0.375 0.625
H 0.591 0.613 0.428
Mn 0.500 0.500 0.500
Na 0.375 0.750 0.625
H 0.909 0.072 0.887
Na 0.250 0.625 0.875
Na 0.750 0.375 0.125
H 0.663 0.478 0.591
H 0.428 0.315 0.337
H 0.072 0.909 0.387
H 0.978 0.591 0.163
H 0.685 0.572 0.163
H 0.685 0.113 0.022
Mn 0.625 0.750 0.875
H 0.613 0.022 0.185
Mn 0.500 0.000 0.500
Mn 0.500 0.000 0.000
Na 0.625 0.250 0.375
H 0.572 0.887 0.409
H 0.315 0.428 0.837
Na 0.125 0.875 0.750
Mn 0.625 0.875 0.250
H 0.663 0.185 0.572
H 0.522 0.337 0.909
Na 0.625 0.375 0.750
Mn 0.000 0.500 0.500
H 0.613 0.591 0.928
Na 0.375 0.625 0.250
H 0.837 0.928 0.315
H 0.315 0.887 0.978
Na 0.125 0.250 0.875
H 0.163 0.091 0.978
H 0.387 0.409 0.072
H 0.022 0.613 0.685
H 0.185 0.522 0.613
H 0.887 0.315 0.478
H 0.522 0.185 0.113
H 0.909 0.837 0.522
+++

For the past 8 years, our Sideline Cancer TBT team has excelled on and off the court in raising awareness for pancreatic cancer. On the court, our Sideline Cancer TBT team went to the final in the very first COVID bubble tournament in 2020. Off the court, awareness for pancreatic cancer has grown, as TBT now airs in over 197 countries on ESPN.
The outstanding efforts of our Sideline Cancer TBT team has been the inspiration behind the formation of several Sideline Cancer AAU basketball teams. These next generations of basketball players are proudly wearing their purple with an I CAN attitude and Believe Always Spirit for all pancreatic cancer patients, families, and communities across the nation.

Connecting with Patients and Doctors
Many pancreatic cancer patients follow our basketball team and foundation activities. One such person is pancreatic cancer survivor, Rick Jones. On New Years Eve 2015, Cathy Griffith received a call from Rick Jones who told her, “I have Stage IV Pancreatic Cancer. Where do I go from here?”
Rick is an accountant in Bedford, PA and loving husband and father to three daughters. A friend of Rick’s knew of the Griffith Family Foundation and gave Rick Cathy’s cell number.
Once Cathy heard that Rick had Neuroendocrine Pancreatic Cancer, she immediately connected him to Dr. Moser at the Beth Israel Deaconess Medical Center at Harvard Medical School.

Appointments were quickly made, and Dr. Moser was able to surgically remove the pancreatic cancer. Dr. Moser was also able to refer Rick to UPMC Pittsburgh for a liver transplant (read more about that amazing story).
Today, Rick leads a normal and active life with his family and partners at his accounting firm. Although Rick is not considered “cancer free,” he is considered to be in stable/normal condition by his medical team and will continue to be routinely monitored.

In 2015, Rick attended and spoke at our Sideline Cancer Dinner. In 2019, he participated as a panel member at our Pancreatic Cancer Symposium.
Helping to save Rick’s life is one of the greatest examples of how the Griffith Family Foundation and Sideline Cancer connect patients, doctors, and communities to sideline pancreatic cancer.
Where Pancreatic Cancer is Today
Interestingly, while Rick was undergoing treatment, he participated in a DNA testing study with the University of Washington in Seattle where they determined his gene sequencing. Doctors did gene sequencing for his entire family, including his mother and father, brother and sister, uncles and cousins.
In their examination, it was discovered that Rick was missing a particular gene in his sequencing.
From there, doctors looked at the entire population of Rick’s family to see if anyone else was missing the gene. This study is now being used to help many others.
As noted by Dr. Anirban Maitra at The University of Texas MD Anderson Cancer Center, the current national guidelines recommend that all patients with pancreatic cancer undergo genetic testing, not just those with a family history of the disease.

These studies show that nearly 10% of pancreatic cancer patients have an abnormal DNA alteration in their blood, and these tests are able to detect that abnormality.
This testing is important for two reasons:
- There are now treatments that patients themselves can benefit from because the treatments are tailored to some of these DNA abnormalities. These treatments are called “precision” or “personalized” medicine.
- If a patient has a DNA alteration in their blood, then all their blood relatives (siblings, children, etc.) can also get tested to see if they carry the abnormality. If they do, then they can get screened for pancreatic cancer and hopefully discover it early.
Since this genetic testing has become part of the guidelines, many insurance companies are paying for the test. Additionally, as the tests become more sophisticated, the cost of administering the test has been reduced from thousands of dollars just a few years ago to around $250 today. Also, these tests don’t require blood samples anymore. The tests are advanced enough to only require a patient’s saliva.
Where Sideline Cancer is Going
From 2010 through 2021, the Griffith Family Foundation has donated over $300,000 to pancreatic cancer research and raises awareness internationally.
The Greg and Cathy Griffith Family Foundation continues in 2022 to connect with communities all around the world through their ongoing memberships and support of the World Pancreatic Cancer Coalition and the Digestive Diseases National Coalition.

In the fall of 2022, The Griffith Family Foundation established Sideline Cancer Athletics.